Chuck Hadley loves the water. He grew up near the bay area in Pinole, Calif., and can gauge the day’s weather by watching the morning fog on the bay from his U.S. Army Corps of Engineers, San Francisco District office.
His normal Corps duties take him up and down California’s scenic coasts, overseeing harbor and bay dredging…life on the water. Now he’s living7,600 feet above sea level at Forward Operating Base Lightning, in Afghanistan, more than 700 miles from the nearest ocean.
Hadley is supporting the Corps’ Operation Enduring Freedom mission as a construction representative for the Transatlantic Afghanistan District’s Gardez Resident Office, where receiving mail is a huge morale booster since it only comes once a week if you’re lucky.
“The pace is tough here,” Hadley said. “Back home I am usually on one or two projects at a time. I would have to evaluate and process maybe 15 contractor submittals for a whole project. Here I am working more than 10 projects. I can have 30 submittals a day.”
The resident office is located near Gardez, in Paktika Province, about 75 miles south of Kabul and a little shorter distance west of the Pakistani border. The office currently oversees 40 construction projects located from the Pakistan border up into the Hindu Kush mountain range and spread over five provinces, Paktika, Paktya, Khost, Logar, and Ghazni. There were three Corps offices in this region a year ago, but just as coalition forces are drawing down and consolidating, so is the Corps.
In order to get to the sites, Hadley has to be in full “battle rattle”—body armor, helmet, medical kit, combat boots and other gear. In addition, he carries equipment needed for construction project inspections: note pad, tape measure, camera and other miscellaneous equipment he needs. He can’t go by himself as he can back home in his district. A security team guards Hadley and others with him. They also control who is allowed to approach to discuss the project, check buildings and rooms before he enters and manages the movement around a site.
Record 1
Structure and computed powder diffractogram of NdGa6Cu6 (a DFT-relaxed cell (GGA-PBE, Alexandria); Cu Ka).

Peak list (8 most intense, 2θ = 5–70°, sorted by position)
2theta  I_rel
35.19  39
35.69  24
40.43  45
40.63  43
41.10  100
41.35  47
41.84  37
45.78  49

```
NdGa6Cu6
1.0
-2.589 4.318 4.395
2.589 -4.318 4.395
2.589 4.318 -4.395
Nd Ga Cu
1 6 6
Cartesian
0.000 0.000 0.000
2.589 0.000 1.757
0.000 3.003 0.000
0.000 0.000 3.076
0.000 0.000 5.713
0.000 5.632 0.000
0.000 4.318 2.638
1.295 2.159 -2.197
1.295 -2.159 2.197
2.589 2.014 0.000
-1.295 2.159 2.197
1.295 2.159 2.197
0.000 2.304 4.395
```

=====

Record 2
Structure and computed powder diffractogram of CdAg7Au2 (a DFT-relaxed cell (GGA-PBE, Alexandria); Cu Ka).

Peak list (8 most intense, 2θ = 5–70°, sorted by position)
2theta  I_rel
31.20  39
36.62  100
36.78  90
38.18  88
38.52  83
40.35  38
45.25  49
62.01  28

```
CdAg7Au2
1.0
7.142 0.000 0.000
0.000 2.866 0.000
-3.467 0.000 9.183
Cd Ag Au
1 7 2
Cartesian
0.000 0.000 0.000
-1.734 1.433 4.591
-1.495 1.433 7.370
0.595 1.433 3.057
0.571 0.000 5.678
3.104 0.000 3.505
3.079 1.433 6.126
5.169 1.433 1.813
2.457 1.433 0.958
1.217 1.433 8.225
```

=====

Record 3
Structure and computed powder diffractogram of LaSc4Ag5 (a DFT-relaxed cell (GGA-PBE, Alexandria); Cu Ka).

Peak list (8 most intense, 2θ = 5–70°, sorted by position)
2theta  I_rel
25.73  12
29.81  14
32.65  10
36.01  100
36.70  59
52.88  20
64.29  9
65.65  32

```
LaSc4Ag5
1.0
3.463 0.000 0.000
0.000 3.463 0.000
0.000 0.000 17.975
La Sc Ag
1 4 5
Cartesian
0.000 0.000 0.000
0.000 0.000 3.846
0.000 0.000 7.278
0.000 0.000 10.697
0.000 0.000 14.128
1.731 1.731 2.260
1.731 1.731 5.556
1.731 1.731 8.987
1.731 1.731 12.419
1.731 1.731 15.715
```

=====

Record 4
Structure and computed powder diffractogram of YSbF2 (a DFT-relaxed cell (GGA-PBE, Alexandria); Cu Ka).

Peak list (8 most intense, 2θ = 5–70°, sorted by position)
2theta  I_rel
26.63  17
27.23  100
33.75  28
43.50  28
47.39  21
56.16  17
56.49  25
65.98  8

```
YSbF2
1.0
-2.656 2.656 6.694
2.656 -2.656 6.694
2.656 2.656 -6.694
Y Sb F
2 2 4
Cartesian
0.000 0.000 0.000
0.000 2.656 3.347
2.656 0.000 3.347
0.000 0.000 6.694
0.011 1.328 1.674
-1.328 2.645 5.021
-0.011 3.983 1.674
1.328 2.666 5.021
```

=====

Record 5
Structure and computed powder diffractogram of Cd2P2H10CCl2O11 (a DFT-relaxed cell (GGA-PBE, Alexandria); Cu Ka).

Peak list (8 most intense, 2θ = 5–70°, sorted by position)
2theta  I_rel
7.28  100
10.94  29
14.59  37
19.27  41
26.24  35
28.30  28
29.03  29
29.75  28

```
Cd2P2H10CCl2O11
1.0
5.739 0.000 0.000
2.445 9.385 0.000
1.569 2.238 12.141
Cd P H C Cl O
4 4 20 2 4 22
Cartesian
1.323 1.291 3.062
3.836 5.829 11.144
5.917 5.794 0.998
8.429 10.332 9.079
2.995 7.360 2.224
3.062 4.161 2.271
6.691 7.462 9.870
6.757 4.263 9.917
3.951 9.902 11.687
2.181 3.006 7.576
4.321 9.390 6.871
2.833 3.720 6.309
4.622 8.972 10.614
2.396 1.568 5.675
5.195 9.012 8.166
5.938 10.839 10.596
5.494 9.589 5.127
5.226 8.922 1.469
“At first, it seemed a bit crazy,” he said. “You don’t open doors yourself. You don’t just walk into a room if you want to inspect an electrical panel. You wait for the security team to clear the room, ensuring it is safe to enter. Everywhere I go my security team is right there, taking the steps before and on my heals to make sure I am fully protected in front, behind and both sides. It kind of makes you feel as protected as the President would be, even though we’re just showing up at a construction job site performing inspections.”
“It’s still Afghanistan, a war zone. There is danger. My heart still beats fast every day when we go on missions outside the wire driving through the cities on the way to a job site,” he explained.
“It feels like it becomes routine, but you have to be still be alert. We work with our security team. They understand what we are looking for on the site and who we have to talk to. We are also an extra set of eyes for them. If we see something that shouldn’t be, we tell them. We’re all one team.”
Before joining the Corps, he worked as a concrete laborer, went to night school for computers and construction management, then became a project coordinator. Hadley has been in Afghanistan for 13 months and starting his second tour.
“At first I came for the adventure and chance to make and save money. Now I’m here for the experience and working with the locals,” he said.
Hadley oversees construction of power plants, waste water treatment plants, hospitals barracks, latrines and administrative buildings for Afghan National Security Forces.
“A year here is like five or six years of experience back home,” Hadley said. “You can’t specialize. You have to cover the entire site. I have had to learn about pumps, gears, electrical systems, fuel tanks, generators, doors, windows, heating and cooling systems, everything involved in construction from the ground up. I have to be expert enough to coach contractors how to interpret specifications and drawings, find the right product and install them properly.”
It’s a different culture Hadley said. He likes showing the locals how to use products or techniques they haven’t seen, like dry wall interiors with steel studs instead of mud walls, or how to do large concrete pours.
“They know how to do some things great, like masonry,” he said. “I’m helping add to what they know.”
Building local technical expertise, or capacity, in engineering, construction and maintenance is a key mission for the Transatlantic Afghanistan District.
“We employ and build skilled human capital in many ways,” said U.S. Air Force Lt. Col. Taylor Thomas, officer in charge of the Kabul Area Office. “The Corps of Engineers operates an Afghan Quality Assurance Representative Program that employs locals, many with engineering degrees, and varying skill levels electrical, mechanical and civil engineering specialties. These QARs are our eyes on the ground at most of our project sites. Ultimately, building these skill sets will assist them to take on their own engineering and project management endeavors in the future.”
Making these programs work takes the expertise of people like Hadley.
“My biggest challenge is working with the contractors’ quality control on submittals, where they send in paperwork documenting what they are purchasing meets the specifications and drawings. It’s hard to find most of the items locally,” Hadley said. “We are teaching them years worth of construction techniques and the local markets are starting to support these needs.”
-- Next to the entry, the page also holds materials data --
+++
Calculated XRD peak list
Compound: CeSe2
Radiation: Cu Kα (λ = 1.5418 Å)
Structure: a crystal structure in the Materials Project, relaxed with PBE

Atomic structure:
```
data_CeSe2
_cell_length_a 6.651
_cell_length_b 6.651
_cell_length_c 4.402
_cell_angle_alpha 90.00
_cell_angle_beta 90.00
_cell_angle_gamma 90.00
_space_group_name_H-M_alt 'P 42/m n m'
_space_group_IT_number 136
_space_group_name_Hall '-P 4n 2n'
loop_
_atom_site_label
_atom_site_type_symbol
_atom_site_fract_x
_atom_site_fract_y
_atom_site_fract_z
Ce1 Ce 0.000 0.000 0.000
Se1 Se 0.194 0.194 0.500
```

Largest 10 diffraction maxima, sorted by position, 2θ from 5° to 70°:
| 2theta | intensity | (hkl) |
| --- | --- | --- |
| 18.87 | 100 | 1 1 0 |
| 24.25 | 31 | 1 0 1 |
| 27.76 | 62 | 1 1 1 |
| 30.04 | 24 | 2 1 0 |
| 36.46 | 99 | 2 1 1 |
| 38.27 | 35 | 2 2 0 |
| 41.01 | 24 | 0 0 2 |
| 45.50 | 20 | 1 1 2 |
| 45.83 | 61 | 3 0 1 |
| 57.34 | 22 | 2 2 2 |
+++
Worker safety is another challenge.
“They just don’t get it,” Hadley said. “I think they understand they could get hurt, or one of their workers could get hurt. I try to explain to them that their safety comes first, but I don’t think they ever had someone watch out for a workers safety as we do in the Corps.”
On his rare down time Hadley watches movies, roots for his San Francisco teams and takes walks around the small base.
“One of my most unforgettable days was my last birthday. The guys I work with went all out,” he said. “There was no birthday cake or balloons, but the guys talked the dining facility out of some ribs for us to BBQ. Other guys built a ‘birthday cake’ using energy bars. It’s just a special day when your co-workers go above and beyond, 9,000 miles from home, so you’re feeling like you’re back with your friends and family.”
Next to the page, the page also holds data records:
/*
Entry 1:
Calculated X-ray diffraction stick pattern
Compound: NaHoTlIn
Radiation: Cu Kα X-rays
Structure: a cell relaxed with GGA-PBE
Intensities are scaled so that the largest is 100.

Structure:
Cell lengths 3.8271, 5.2414, 5.2675 Å; angles 90.00, 90.00, 90.00 degrees
Space group Pmmm (No. 47)
Asymmetric unit:
1 Na 0.0000 0.0000 0.0000 [1 per cell]
2 Ho 0.0000 0.5000 0.5000 [1 per cell]
3 Tl 0.5000 0.5000 0.0000 [1 per cell]
4 In 0.5000 0.0000 0.5000 [1 per cell]

Top 10 peaks for 2θ from 10° to 90°, by angle:
Position (°2θ)  I_rel
16.91  27
28.84  15
33.62  100
34.04  24
34.22  24
49.04  17
60.66  18
60.88  18
70.67  12
79.42  10


Entry 2:
Calculated X-ray diffraction stick pattern
Compound: Pm2ScIn4
Radiation: Cu Kα X-rays
Structure: a cell relaxed with GGA-PBE
Intensities are scaled so that the largest is 100.

Structure:
Cell lengths 5.1558, 5.1558, 14.8298 Å; angles 90.00, 90.00, 90.00 degrees
Space group I4/mmm (No. 139)
Asymmetric unit:
1 Pm 0.0000 0.0000 0.2476 [4 per cell]
2 Sc 0.0000 0.0000 0.0000 [2 per cell]
3 In 0.0000 0.5000 0.1051 [8 per cell]

Top 10 peaks for 2θ from 10° to 90°, by angle:
Position (°2θ)  I_rel
27.26  44
34.50  100
34.80  57
36.35  12
50.04  20
51.20  18
61.63  11
62.20  35
68.28  11
89.29  12


Entry 3:
Calculated X-ray diffraction stick pattern
Compound: Li6CdAg5
Radiation: Cu Kα X-rays
Structure: a cell relaxed with GGA-PBE
Intensities are scaled so that the largest is 100.

Structure:
Cell lengths 14.2647, 6.2468, 4.5648 Å; angles 90.00, 105.69, 90.00 degrees
Space group C2/m (No. 12)
Asymmetric unit:
1 Li 0.0000 0.2392 0.0000 [4 per cell]
2 Li 0.1699 0.2447 0.6700 [8 per cell]
3 Cd 0.0000 0.5000 0.5000 [2 per cell]
4 Ag 0.0000 0.0000 0.5000 [2 per cell]
5 Ag 0.1637 0.5000 0.1625 [4 per cell]
6 Ag 0.1675 0.0000 0.1683 [4 per cell]

Top 10 peaks for 2θ from 10° to 90°, by angle:
Position (°2θ)  I_rel
26.88  79
28.33  69
28.58  68
39.36  34
39.60  100
40.68  62
49.36  28
49.51  28
55.40  12
63.51  19


Entry 4:
Calculated X-ray diffraction stick pattern
Compound: Mg3Bi4Pb2
Radiation: Cu Kα X-rays
Structure: a cell relaxed with GGA-PBE
Intensities are scaled so that the largest is 100.

Structure:
Cell lengths 7.6791, 9.2400, 8.8241 Å; angles 90.00, 116.69, 90.00 degrees
Space group P2_1/c (No. 14)
Asymmetric unit:
1 Mg 0.0000 0.0000 0.0000 [2 per cell]
2 Mg 0.1830 0.0896 0.4669 [4 per cell]
3 Bi 0.0353 0.1730 0.7177 [4 per cell]
4 Bi 0.4388 0.0189 0.2516 [4 per cell]
5 Pb 0.4041 0.7172 0.4628 [4 per cell]

Top 10 peaks for 2θ from 10° to 90°, by angle:
Position (°2θ)  I_rel
22.53  24
23.16  26
25.97  43
27.74  30
28.11  100
28.33  37
31.79  32
33.76  25
36.57  38
36.80  33


Entry 5:
Calculated X-ray diffraction stick pattern
Compound: RbScBr2F
Radiation: Cu Kα X-rays
Structure: a cell relaxed with GGA-PBE
Intensities are scaled so that the largest is 100.

Structure:
Cell lengths 5.7055, 5.7055, 4.1942 Å; angles 90.00, 90.00, 90.00 degrees
Space group P4/mmm (No. 123)
Asymmetric unit:
*/
Hadley said it’s not easy being here, but recommends the experience to anyone to go overseas to do this kind of work, emphasizing there is nothing like it back home. Through it all, he focuses on how his work helps the Afghans by giving them bases to provide their own security. Not only does this let the Afghans take over from coalition forces, it gives them a strong sense of pride to be able to do for themselves.
“The Afghans are really appreciative of what we do,” Hadley said. “They are sincere. They say ‘thank you’, even if that’s all the English they know.”
For Hadley, being this far from his harbors and morning fog is worth it.